Given =
........
Record 1
The following is a PBE calculation of an optimized crystal structure of Tb2SmCd2, from Alexandria.

The value obtained for the total magnetization is 0.000 μB per atom. Its excess energy over the best structure of this formula in the dataset is 0 meV/atom.

Cell: 3.7520 5.4165 13.9558 Å, 90.00 97.74 90.00°
Positions (direct):
Tb 0.0464 0.2500 0.0919
Tb 0.2358 0.2500 0.4725
Tb 0.7642 0.7500 0.5275
Tb 0.9536 0.7500 0.9081
Sm 0.1492 0.7500 0.2966
Sm 0.8508 0.2500 0.7034
Cd 0.3587 0.7500 0.7176
Cd 0.4500 0.2500 0.9006
Cd 0.5500 0.7500 0.0994
Cd 0.6413 0.2500 0.2824

Record 2
The following is a PBE calculation of an optimized crystal structure of TbSmThCd, from Alexandria.

The value obtained for the total magnetization is 0.001 μB per atom. Its excess energy over the best structure of this formula in the dataset is 255 meV/atom.

Cell: 5.5085 5.5085 5.5085 Å, 60.00 60.00 60.00°
Positions (direct):
Tb 0.0000 0.0000 0.0000
Sm 0.5000 0.5000 0.5000
Th 0.7500 0.7500 0.7500
Cd 0.2500 0.2500 0.2500

Record 3
The following is a PBE calculation of an optimized crystal structure of TbSmThCd, from Alexandria.

The value obtained for the total magnetization is 0.000 μB per atom. Its excess energy over the best structure of this formula in the dataset is 0 meV/atom.

Cell: 3.6314 3.6314 8.9484 Å, 90.00 90.00 90.00°
Positions (direct):
Tb 0.0000 0.0000 0.0000
Sm 0.0000 0.0000 0.5356
Th 0.5000 0.5000 0.2653
Cd 0.5000 0.5000 0.7736

| no. | ΔE_f (eV/atom) |
| --- | --- |
| 1 | -0.258 |
| 2 | 0.087 |
| 3 | -0.168 |

=====

1.
# Ho2SiPd, optimized geometry, DFT GGA-PBE
# Raw total energy = -5.789 eV per atom
# Volume = 87.38 Å³/f.u.
data_Ho2SiPd
_cell_length_a 4.2943
_cell_length_b 5.6173
_cell_length_c 7.2448
_cell_angle_alpha 90.00
_cell_angle_beta 90.00
_cell_angle_gamma 90.00
_space_group_name_H-M_alt 'P m c 21'
_space_group_IT_number 26
loop_
_space_group_symop_operation_xyz
'x,y,z'
'-x,-y,z+1/2'
'-x,y,z'
'x,-y,z+1/2'
loop_
_atom_site_label
_atom_site_fract_x
_atom_site_fract_y
_atom_site_fract_z
_atom_site_occupancy
Ho1 0.0000 0.1108 0.0000 1
Ho2 0.5000 0.3882 0.6444 1
Si1 0.5000 0.1151 0.2770 1
Pd1 0.0000 0.3859 0.3586 1

2.
# Ho3SiPd4, optimized geometry, DFT GGA-PBE
# Raw total energy = -5.766 eV per atom
# Volume = 159.60 Å³/f.u.
data_Ho3SiPd4
_cell_length_a 5.6711
_cell_length_b 4.2168
_cell_length_c 6.6743
_cell_angle_alpha 90.00
_cell_angle_beta 90.20
_cell_angle_gamma 90.00
_space_group_name_H-M_alt 'P 1 m 1'
_space_group_IT_number 6
loop_
_space_group_symop_operation_xyz
'x,y,z'
'x,-y,z'
loop_
_atom_site_label
_atom_site_fract_x
_atom_site_fract_y
_atom_site_fract_z
_atom_site_occupancy
Ho1 0.0000 0.0000 0.0000 1
Ho2 0.2404 0.0000 0.5012 1
Ho3 0.7245 0.5000 0.3641 1
Si1 0.4783 0.5000 0.8390 1
Pd1 0.0369 0.5000 0.7247 1
Pd2 0.2232 0.5000 0.2065 1
Pd3 0.5100 0.0000 0.0655 1
Pd4 0.6913 0.0000 0.6692 1

3.
# HoSiPd2, optimized geometry, DFT GGA-PBE
# Raw total energy = -5.855 eV per atom
# Volume = 72.00 Å³/f.u.
data_HoSiPd2
_cell_length_a 4.1655
_cell_length_b 6.1420
_cell_length_c 5.6286
_cell_angle_alpha 90.00
_cell_angle_beta 90.00
_cell_angle_gamma 90.00
_space_group_name_H-M_alt 'P m n 21'
_space_group_IT_number 31
loop_
_space_group_symop_operation_xyz
'x,y,z'
'-x+1/2,-y,z+1/2'
'-x,y,z'
'x+1/2,-y,z+1/2'
loop_
_atom_site_label
_atom_site_fract_x
_atom_site_fract_y
_atom_site_fract_z
_atom_site_occupancy
Ho1 0.0000 0.0851 0.0000 1
Si1 0.0000 0.6099 0.7632 1
Pd1 0.0000 0.2593 0.4850 1
Pd2 0.0000 0.6594 0.2899 1

4.
# Ho6SiPd2, optimized geometry, DFT GGA-PBE
# Raw total energy = -5.353 eV per atom
# Volume = 222.13 Å³/f.u.
data_Ho6SiPd2
_cell_length_a 7.7666
_cell_length_b 7.7666
_cell_length_c 4.2521
_cell_angle_alpha 90.00
_cell_angle_beta 90.00
_cell_angle_gamma 120.00
_space_group_name_H-M_alt 'P -6 2 m'
_space_group_IT_number 189
_space_group_name_Hall 'P -6 -2'
loop_
_atom_site_label
_atom_site_fract_x
_atom_site_fract_y
_atom_site_fract_z
_atom_site_occupancy
Ho1 0.0000 0.2609 0.0000 1
Ho2 0.0000 0.6010 0.5000 1
........

Activity =
The reader should count the lines further above that contain the word "Alexandria" and give the number alone.

Response =
3